Table 2

Summary of included QICs

Main publication author (year)Surgical conditionStudy design (meets EPOC inclusion criteria Y/N)Study aimNo of intervention sitesOutcome indicatorsProcess indicatorsOther indicator
Peden (2019)22 30–32 34Emergency laparotomyStepped-wedge cluster RCT (Y)Reduce postoperative mortality93, split into 15 clusters90-day/180-day mortality, postoperative LOS, 180-day readmissionAdherence to 10 metrics
Bamber (2019)25 33Emergency laparoscopic cholecystectomyControlled cohort evaluation (Y)Reduce time to emergency cholecystectomy13, 1 withdrew8-day surgery rate
McNaney (2011)23Elective surgeryControlled interrupted time series (Y)Reduce postoperative length of stay (LOS)15, 1 withdrewLOS, readmission, patient-reported outcome measures for hip and knee replacementsDay of surgery admissionAdoption of full implementation, patient experience
The article is interrupted by records of crystals =
┌──
1) First-principles (GGA-PBE) data for an optimized crystal structure of HfCrCuS4, as listed in the Materials Project database.

extended XYZ file:
```
14
Lattice="-2.593 2.138 -1.214 -3.453 -4.824 -1.122 -4.551 0.588 10.750" Properties=species:S:1:pos:R:3 pbc="T T T"
Hf -6.454 -0.969 6.816
Hf -4.142 -1.128 1.598
Cr -1.151 0.080 2.598
Cr -6.853 -4.315 7.030
Cu -3.023 -1.343 -1.168
Cu -2.275 0.294 5.375
S -2.427 0.357 0.552
S -8.170 -2.454 7.862
S -5.158 -2.907 5.891
S -2.846 -1.328 3.737
S -2.920 -3.181 0.632
S -5.084 -1.054 8.997
S -4.705 0.739 6.087
S -5.891 -2.836 2.327
```

Computed properties:
The volume is 18.011 Å³/atom.

2) First-principles (GGA-PBE) data for an optimized crystal structure of HfCrCuS4, as listed in the Materials Project database.

extended XYZ file:
```
28
Lattice="-3.631 -4.854 -0.014 2.669 -1.991 6.214 -8.804 6.604 5.717" Properties=species:S:1:pos:R:3 pbc="T T T"
Hf -5.211 3.862 7.474
Hf -3.348 -1.274 2.980
Hf -2.014 -2.267 6.082
Hf -7.826 2.058 5.738
Cr -3.110 -5.196 7.602
Cr -10.270 0.135 4.316
Cr -0.909 0.668 4.557
Cr -6.415 1.032 8.941
Cu -7.442 2.851 11.919
Cu -5.317 -0.833 5.928
Cu -1.854 1.167 9.045
Cu -10.939 0.901 8.806
S -5.619 -2.192 3.664
S -6.538 -1.317 8.358
S 0.262 -1.316 5.410
S -7.575 4.481 6.510
S -1.084 -0.321 2.310
S -6.241 3.318 9.728
S -4.304 -3.179 6.743
S -8.006 -0.401 5.100
S -0.903 -4.360 6.940
S -7.419 0.506 11.046
S -3.094 -0.161 5.219
S -5.518 1.448 6.759
S -4.343 0.878 2.088
S -4.140 0.732 9.774
S -2.341 -3.421 3.859
S -8.676 1.447 8.090
```

Computed properties:
The volume is 18.924 Å³/atom.

3) First-principles (GGA-PBE) data for an optimized crystal structure of HfCrCuS4, as listed in the Materials Project database.

extended XYZ file:
```
28
Lattice="6.993 0.000 0.000 0.000 7.607 0.000 0.000 0.000 10.262" Properties=species:S:1:pos:R:3 pbc="T T T"
Hf 1.748 0.672 0.097
Hf 5.245 6.935 10.165
Hf 5.245 3.131 5.228
Hf 1.748 4.476 5.034
Cr 5.245 7.527 2.985
Cr 1.748 0.081 7.278
Cr 1.748 3.884 8.116
Cr 5.245 3.723 2.146
Cu 1.748 1.385 4.065
Cu 5.245 6.222 6.197
Cu 5.245 2.418 9.196
Cu 1.748 5.189 1.066
S 3.675 0.756 8.650
S 3.319 6.851 1.612
S 3.319 3.047 3.519
S 3.675 4.560 6.743
S 6.815 4.560 6.743
S 0.178 3.047 3.519
S 0.178 6.851 1.612
S 6.815 0.756 8.650
S 1.748 6.919 4.987
S 5.245 0.688 5.275
S 5.245 4.492 10.118
S 1.748 3.115 0.144
S 5.245 1.592 1.367
S 1.748 6.015 8.895
S 1.748 2.211 6.498
S 5.245 5.396 3.764
```

Computed properties:
The volume is 19.497 Å³/atom.

Which is the most stable structure? 1) is the most stable.

1) First-principles (GGA-PBE) data for an optimized crystal structure of MnCr8Cu3S16, as listed in the Materials Project database.

extended XYZ file:
```
28
Lattice="7.008 0.000 0.000 0.000 7.008 0.000 0.000 0.000 9.911" Properties=species:S:1:pos:R:3 pbc="T T T"
Mn 3.504 3.504 4.956
Cr 5.300 0.000 6.198
Cr 1.752 3.504 1.202
Cr 1.709 0.000 6.198
Cr 5.256 3.504 1.202
Cr 0.000 1.709 3.713
Cr 3.504 5.256 8.709
Cr 3.504 1.752 8.709
Cr 0.000 5.300 3.713
└──
Aggarwal (2019)21Emergency laparotomyUncontrolled interrupted time series (Y)Reduce postoperative mortality28Risk-adjusted and crude in-hospital mortality, LOSAdherence to 6 metrics in care bundle
Tadd (2019)28Hip fractureControlled interrupted time series (N)Improve care via guidance implementation6 recruited, 2 not included in analysis30-day mortality, LOS, readmission rateAdherence to 23 metricsReturn to own home
McLeod (2003)26Elective day case surgeryControlled interrupted time series (N)Increase proportion of patients with a ‘to come in date’24 (varying numbers in different analyses)Proportion of patients with booked admission date, did not attends, proportion waiting ≥6 months
Potgieter (2012)19Elective abdominal aortic aneurysm repairUncontrolled before-and-after study (N)Reduce postoperative mortality90, split into 12 regionsIn-hospital mortality, LOSTurn down ratesCase ascertainment
Kuper (2011)27Emergency and elective surgeryUncontrolled before-and-after study (N)Implement intraoperative oesophageal Doppler monitoring3LOS, postoperative stay, readmission rate, reoperation rate, inpatient mortality, oesophageal trauma, pulmonary oedemaUse of Doppler monitorsVolume/type of iv fluids, perioperative change in stroke volume, use of invasive monitoring
Huddart (2015)20Emergency laparotomyUncontrolled before-and-after study (N)Reduce postoperative mortality4P-POSSUM risk-adjusted and crude 30-day mortality, in-hospital mortalityAdherence to 7 metrics in care bundle
Feinberg (2018)24Surgery for right iliac fossa painUncontrolled before-and-after study (N)Eliminate delay in operative management4Incision to discharge, LOS, 30-day readmissionCompliance with Royal College of Surgeons guidelines on time to surgery, admission to booking, booking to incision
  • EPOC, Effective Practice and Organisation of Care; P-POSSUM, Portsmouth Physiological and Operative Severity Score for the enUmeration of Mortality and morbidity; QICs, quality improvement collaboratives; RCT, randomised controlled trial.